嗨,我是楊凱州,目前是個平凡的研究生,正在探索人工智慧與資料科學的藝術,期許自己有朝一日能成為 Kaggle 與 Gym 的大魔王。 我喜歡關注各式各樣的開源會議,熱衷於嘗試一些天馬行空的發想,藉由開發一些有趣的小專案自娛娛人,同時也提高自己的實務水平。
我也是雷德麥的藏書閣與 NCKUCSIE Notes 的作者, 閒暇之餘會寫些技術報告或學習心得。 我相信技術是為了生活而存在,而致力於用說故事的方式, 搭配上生活化例子擊破那些艱澀的理論。 若您在文章的實作上遭遇到了困難,還是發現內容存在有待加強的地方, 都歡迎藉由 G-mail 與我分享您的觀點,期待透過討論能讓彼此更加強大 ヾ(´︶`*)ノ
Department of Computer Science• July 2013 - July 2017
伴我從新手村走到二轉之路的好夥伴。 一路上挑戰了形形色色的演算法與資料結構,從中認識了不少程式語言,建構出許許多多妙趣橫生的專案。 觀過網路架構的層巒疊嶂,體會過模糊理論的道不清說不明,玩轉過了一道又一道的密碼矩陣, 還有更多更多沒提到的精彩冒險,且讓我日後在藏書閣中娓娓道來吧。
<<<
First-principles (GGA-PBE) data for an optimized crystal structure of MgBi, as listed in Materials Project.

Lattice parameters (Å, degrees): 5.396 10.321 6.069 90.00 90.00 90.00
Fractional coordinates of all 12 atoms:
Mg1 0.000 0.192 0.824
Mg2 0.500 0.500 0.511
Mg3 0.500 0.000 0.011
Mg4 0.000 0.308 0.324
Mg5 0.000 0.692 0.324
Mg6 0.000 0.808 0.824
Bi1 0.000 0.500 0.714
Bi2 0.500 0.157 0.564
Bi3 0.500 0.657 0.064
Bi4 0.000 0.000 0.214
Bi5 0.500 0.343 0.064
Bi6 0.500 0.843 0.564

Results
The value obtained for the total magnetization is 0.0 μB/cell. Its energy relative to the elements is -0.0711 eV/atom.

***

First-principles (GGA-PBE) data for an optimized crystal structure of MgBi, as listed in Materials Project.

Lattice parameters (Å, degrees): 5.776 5.776 6.020 71.27 71.27 65.09
Fractional coordinates of all 6 atoms:
Mg1 0.998 0.337 0.997
Mg2 0.502 0.498 0.500
Mg3 0.663 0.002 0.003
Bi1 0.380 0.620 0.000
Bi2 0.807 0.850 0.504
Bi3 0.150 0.193 0.496

Results
The value obtained for the total magnetization is 0.0 μB/cell. As for the symmetry: C2. Its energy relative to the elements is -0.0421 eV/atom.

***

First-principles (GGA-PBE) data for an optimized crystal structure of Mg2Bi, as listed in Materials Project.

Lattice parameters (Å, degrees): 6.266 6.266 7.847 79.73 79.73 31.18
Fractional coordinates of all 6 atoms:
Mg1 0.340 0.340 0.327
Mg2 0.662 0.662 0.671
Mg3 0.999 0.999 0.999
Mg4 0.277 0.277 0.945
Bi1 0.926 0.926 0.635
Bi2 0.628 0.628 0.255

Results
The value obtained for the total magnetization is 0.0 μB/cell. As for the symmetry: Cm. Its energy relative to the elements is 0.0172 eV/atom.

***

First-principles (GGA-PBE) data for an optimized crystal structure of Mg2Bi, as listed in Materials Project.

Lattice parameters (Å, degrees): 6.213 6.213 8.314 68.74 68.74 31.76
Fractional coordinates of all 6 atoms:
Mg1 0.829 0.829 0.135
Mg2 0.849 0.849 0.531
Mg3 0.151 0.151 0.469
Mg4 0.171 0.171 0.865
Bi1 0.548 0.548 0.214
Bi2 0.452 0.452 0.786

Results
The value obtained for the total magnetization is 0.0 μB/cell. As for the symmetry: C2/m. Its energy relative to the elements is -0.0168 eV/atom.

***

First-principles (GGA-PBE) data for an optimized crystal structure of Mg3Bi2, as listed in Materials Project.

Lattice parameters (Å, degrees): 4.722 4.722 7.449 90.00 90.00 120.00
Fractional coordinates of all 5 atoms:
Mg1 0.667 0.333 0.629
Mg2 0.000 0.000 0.000
Mg3 0.333 0.667 0.371
Bi1 0.667 0.333 0.221
Bi2 0.333 0.667 0.779

Results
As for the symmetry: P-3m1. Its energy relative to the elements is -0.1968 eV/atom. The excess energy over the best structure of this formula in the dataset is 0 meV per atom.

***

First-principles (GGA-PBE) data for an optimized crystal structure of MgBi, as listed in Materials Project.

Lattice parameters (Å, degrees): 3.274 5.630 5.924 90.00 90.00 90.00
Fractional coordinates of all 4 atoms:
Bi1 0.500 0.250 0.699
Bi2 0.500 0.750 0.301
Mg1 0.000 0.750 0.823
Mg2 0.000 0.250 0.177

Results
>>>
2nd place• August 2018
This competition is about short-text semantic similarity and cross-lingual knowledge transfer. I design three deep learning models based on different hypotheses and create the variety intra-model by mixing various views of input data.
3rd place• February 2019
This is a challenge for Chinese fake-news detection. I implemented various NLI networks and inject the world knowledge using BERT and proposed a rumor-aware model which is inspired by decomposable attention.
4th place• April 2019
Pronoun resolution is part of coreference resolution, the task of pairing an expression to its referring entity. In this task, I conducted extensive analysis among hidden layers of BERT and proposed a multi-head siamese scorer for answer selection.
top 1%• May 2018
Aim at predicting concentration levels of PM2.5, PM 10 and O3 over the coming 48 hours for Beijing and London. I reach top 1% without any external data by an end to end sequence generative network that fuses the views from regional and sequential information efficiently.
top 1%• February 2018
A challenge for multi-label sentence classification. To identify the toxic comments, I present two simple and easy-to-use architectures for generating reliable sentence embeddings and ensemble them with gradient boosting trees.
top 1%• November 2017
The goal is to predict the chances of a user listening to a song repetitively after the first observable listening event within a time window was triggered. I model the user and song pair by deep factorization machine and gradient boosting trees with effective feature engineering.
兼任助理• July 2015 - August 2015
使用 Smarty 與 JQuery 維護成功大學醫學院 e 化學習系統,並針對現有的 Bug 進行除錯。 以及協助進行農業地理資訊統計,調用 GoogleMap API 進行地圖打點和編寫地址至經緯度的批量轉換器。
研究員• July 2016 - February 2017
資訊服務人員• March 2015 - July 2015
以自身技術協助其他社會福利機構,如 Excel 的表單統計與函式除錯,個人在程式上的學習經驗分享等等。
採用爐石戰記佈景的西洋棋遊戲,使用遊戲樹配合 Alpha-Beta 剪枝來實現人機對戰,目前已經可以前瞻後 8 手的盤面。
Java, 人工智慧, 遊戲設計Top 1% solution to the toxic comment classification challenge on Kaggle
深度學習, 文本分類以詞嵌入為基底,開發樣板式、檢索式及生成式的聊天機器人,透過上層分類器的可靠度比對來決定回應。 此外也針對樣板規則定義主題,實作出對應的主題模組,用來處理多輪式對話。
Python, 自然語言處理, 模糊比對, 機器學習